Community Agreements

Intersectional Feminist Principles for AWP Members & Conference Participants


AWP has a longstanding history of commitment to diversity, cultural humility, social justice, and feminist values of accountability, inclusion, empathy, care, and mutuality. To ensure that these values are central to the AWP experience for everyone, we:


  • Use gender-inclusive, diversity-respectful language and behaviors (e.g., using words that affirm and respect how people describe, express, and experience themselves; substituting “feminists” for “women” when addressing the room; always using provided microphones).

  • Invite conference attendees to add pronouns to name badges/attendee profiles during the conference, and use the pronouns identified by each person (e.g., they/them, ze/zir, she/her, he/him). If we do not know someone’s pronouns, the best practice is to use a person’s name rather than assume which pronouns to use.

Data records that have nothing to do with the text.
~~~
Here is crystalline LiHfGa6 at its relaxed geometry from Alexandria via LeMat-Bulk. Energies are from PBE-GGA.

Cell lengths 8.2387, 8.2493, 3.9813 Å; angles 90.00, 90.00, 90.00 degrees
Space group Cmmm (No. 65)
One atom of each set of equivalent atoms:
Li 0.0000 0.0000 0.0000 x2
Hf 0.0000 0.5000 0.0000 x2
Ga 0.0000 0.2417 0.5000 x4
Ga 0.2418 0.0000 0.5000 x4
Ga 0.2500 0.2500 0.0000 x4

Calculated values
Total magnetic moment (μB per atom): 0.00
DFT formation energy (meV per atom): -278
Density of states at the Fermi level (states/eV/atom): 0.45

---

Here is crystalline LiHfGa3 at its relaxed geometry from Alexandria via LeMat-Bulk. Energies are from PBE-GGA.

Cell lengths 3.2224, 26.1929, 4.2620 Å; angles 90.00, 90.00, 90.00 degrees
Space group Cmcm (No. 63)
One atom of each set of equivalent atoms:
Li 0.0000 0.0768 0.2500 x4
Hf 0.0000 0.2155 0.7500 x4
Ga 0.0000 0.3240 0.7500 x4
Ga 0.0000 0.3807 0.2500 x4
Ga 0.0000 0.4758 0.2500 x4

Calculated values
Energy relative to the lowest polymorph listed for this composition (eV/atom): 0.000
Total magnetic moment (μB per atom): 0.00
DFT formation energy (meV per atom): -300
Density of states at the Fermi level (states/eV/atom): 0.42

---

Here is crystalline LiHfGa at its relaxed geometry from Alexandria via LeMat-Bulk. Energies are from PBE-GGA.

Cell lengths 3.0702, 3.0702, 11.0962 Å; angles 90.00, 90.00, 90.00 degrees
Space group I4mm (No. 107)
One atom of each set of equivalent atoms:
Li 0.0000 0.0000 0.0000 x2
Hf 0.0000 0.0000 0.3041 x2
Ga 0.0000 0.0000 0.6326 x2

Calculated values
Energy relative to the lowest polymorph listed for this composition (eV/atom): 0.181
Total magnetic moment (μB per atom): 0.00
DFT formation energy (meV per atom): -127
Density of states at the Fermi level (states/eV/atom): 0.77

---

Here is crystalline LiHf2Ga3 at its relaxed geometry from Alexandria via LeMat-Bulk. Energies are from PBE-GGA.

Cell lengths 14.6990, 5.6014, 5.4164 Å; angles 90.00, 103.89, 90.00 degrees
Space group C2/c (No. 15)
One atom of each set of equivalent atoms:
Li 0.0000 0.0851 0.2500 x4
Hf 0.1727 0.3715 0.5991 x8
Ga 0.0000 0.4319 0.7500 x4
Ga 0.1540 0.1241 0.0541 x8

Calculated values
Energy relative to the lowest polymorph listed for this composition (eV/atom): 0.093
Total magnetic moment (μB per atom): 0.00
DFT formation energy (meV per atom): -288
Density of states at the Fermi level (states/eV/atom): 0.62

---

Here is crystalline LiHf2Ga3 at its relaxed geometry from Alexandria via LeMat-Bulk. Energies are from PBE-GGA.

Cell lengths 6.3227, 8.6368, 14.9468 Å; angles 90.00, 90.00, 90.00 degrees
Space group Fmmm (No. 69)
One atom of each set of equivalent atoms:
Li 0.0000 0.0000 0.1670 x8
Hf 0.2471 0.0000 0.5000 x8
Hf 0.2500 0.2500 0.2500 x8
Ga 0.0000 0.0000 0.3300 x8
Ga 0.0000 0.2439 0.0852 x16

Calculated values
Energy relative to the lowest polymorph listed for this composition (eV/atom): 0.000
Total magnetic moment (μB per atom): 0.00
DFT formation energy (meV per atom): -380
~~~
Here the text continues.

  • Actively seek the participation of diverse presenters and conference attendees, including researchers, practitioners, and activists in our programming.

  • Ensure students and individuals at every stage of their career are included as presenters and intentionally omit titles or degrees from name badges and from the conference program.


The Implementation Collective affirms that feminism is an integration of both “Doing” (engaging in community activism, mentoring, building alliances, and influencing policy, teaching, clinical practice, and research) and “Being” (maintaining a feminist consciousness and intentionality regarding issues of privilege and oppression). This ongoing intersection of Doing and Being is the lifeblood of AWP; it is how we collectively nourish ourselves at our conferences and in community with each other. AWP is a dynamic organization. 

[Next to the article, the page also holds materials data]
<<<
Below is MnSb3Se6 after structural relaxation, with properties calculated at the PBE level.

Cell: 8.8182 8.8182 3.8156 Å, 90.00 90.00 104.81°
Fractional positions:
Mn: 0.0000 0.0000 0.0000
Sb: 0.0000 0.5000 0.5000
Sb: 0.5000 0.0000 0.5000
Sb: 0.5000 0.5000 0.0000
Se: 0.1316 0.8684 0.5000
Se: 0.1771 0.3986 0.0000
Se: 0.3986 0.1771 0.0000
Se: 0.6014 0.8229 0.0000
Se: 0.8229 0.6014 0.0000
Se: 0.8684 0.1316 0.5000

Size of the total moment, μB/f.u.: 4.4
DFT total energy, eV/atom: -4.297
Space-group type: Cmmm, No. 65

Below is Mn2SbSe4 after structural relaxation, with properties calculated at the PBE level.

Cell: 8.0971 8.0971 8.0971 Å, 127.95 127.95 76.71°
Fractional positions:
Mn: 0.0000 0.0000 0.0000
Mn: 0.5000 0.0000 0.0000
Mn: 0.5000 0.0000 0.5000
Mn: 0.5000 0.5000 0.5000
Sb: 0.1250 0.3750 0.7500
Sb: 0.8750 0.6250 0.2500
Se: 0.1291 0.3185 0.0919
Se: 0.1815 0.7734 0.8107
Se: 0.2734 0.9628 0.5919
Se: 0.4628 0.3709 0.6893
Se: 0.5372 0.6291 0.3107
Se: 0.7266 0.0372 0.4081
Se: 0.8185 0.2266 0.1893
Se: 0.8709 0.6815 0.9081

Size of the total moment, μB/f.u.: 7.6
DFT total energy, eV/atom: -5.434
Space-group type: I4_1/a, No. 88

~~~~~

# 1
{"formula": "BaTl5Hg8", "functional": "PBE", "state": "optimized geometry", "density_g_cm3": 10.61, "spacegroup": "I-4 (82)", "cell": [[-4.716, 4.716, 4.860], [4.716, -4.716, 4.860], [4.716, 4.716, -4.860]], "species": ["Ba", "Tl", "Tl", "Tl", "Tl", "Tl", "Hg", "Hg", "Hg", "Hg", "Hg", "Hg", "Hg", "Hg"], "fractional_positions": [[0.000, 0.000, 0.000], [0.203, 0.101, 0.580], [0.376, 0.797, 0.897], [0.521, 0.624, 0.420], [0.750, 0.250, 0.500], [0.899, 0.479, 0.103], [0.147, 0.414, 0.448], [0.171, 0.403, 0.913], [0.301, 0.853, 0.266], [0.489, 0.258, 0.087], [0.586, 0.035, 0.734], [0.597, 0.511, 0.769], [0.742, 0.829, 0.231], [0.965, 0.699, 0.552]]}


# 2
{"formula": "BaTl12Hg6", "functional": "PBE", "state": "optimized geometry", "density_g_cm3": 10.22, "spacegroup": "R-3m (166)", "cell": [[7.205, 4.160, 3.427], [-7.205, 4.160, 3.427], [0.000, -8.319, 3.427]], "species": ["Ba", "Tl", "Tl", "Tl", "Tl", "Tl", "Tl", "Tl", "Tl", "Tl", "Tl", "Tl", "Tl", "Hg", "Hg", "Hg", "Hg", "Hg", "Hg"], "fractional_positions": [[0.000, 0.000, 0.000], [0.114, 0.500, 0.886], [0.114, 0.886, 0.500], [0.149, 0.395, 0.395], [0.395, 0.149, 0.395], [0.395, 0.395, 0.149], [0.500, 0.114, 0.886], [0.500, 0.886, 0.114], [0.605, 0.605, 0.851], [0.605, 0.851, 0.605], [0.851, 0.605, 0.605], [0.886, 0.114, 0.500], [0.886, 0.500, 0.114], [0.279, 0.713, 0.713], [0.287, 0.287, 0.721], [0.287, 0.721, 0.287], [0.713, 0.279, 0.713], [0.713, 0.713, 0.279], [0.721, 0.287, 0.287]]}


# 3
>>>


Although we strive to create a safe and empowering environment, we are not immune to the interpersonal, organizational, structural, and cultural forces of oppression. As feminists, we are responsible to address racism, classism, sexism, heterosexism, ableism, cissexism, ageism and all other forms of injustice in and beyond this conference. We strive to be thoughtful, reflective, and intentional, owning our mistakes, and being open to feedback and respectful of others’ lived experience that differs from our own. We aim to engage in interpersonal repair when ruptures occur within our community. This is the essence of feminist, inclusive, multicultural practice.  


Guidelines for Community Engagement:


Thus, in order to participate in this community we use the following guidelines while interacting with others at the AWP Conference: 

  • Treat each participant attending the conference with attention, care, and respect, making every effort to understand one’s own power and privilege and the intersecting marginalizations and different perspectives of others. Debating the validity of someone’s lived experience of marginalization is not acceptable.

  • Attend with the intention of welcoming new and returning colleagues. For returning attendees, embrace the roles of mentor and guide when possible, while also learning from newer colleagues.

  • Be committed to learning from the questions and challenges of participants, particularly when they are different from your own perspective. 

  • Show awareness of those who are potentially being silenced by reaching out to them when you notice this and stepping back to make space.

  • Share the floor, recognizing time constraints. Be mindful of your own participation – how often you speak and for how long.

  • Strive to be an advocate. If you witness a microaggression, productively engage with attendees or presenters who behave in an unsupportive or disrespectful manner to another attendee.

  • Microaggressions can be experienced as a threat to personal safety. If you inadvertently commit a microaggression, extend an ethic of care by taking responsibility for your actions and respond by centering the needs of the person or community harmed. Engage in ongoing reflection with others to continue learning how to best represent our community’s ethic of care. When processing your experience after causing harm, it is best to do that with someone not directly affected. 

(Calculated crystals, kept here for reference)
- - -
Entry 1:
DFT (GGA-PBE) results for an optimized crystal structure of Ba2BAu.

Energy = -3.0553 eV per atom
V = 293 Å³ per cell
Energy of formation from the pure elements = 0.39 eV/atom
Symmetry = I-42d (122)

a = 7.2522 Å, b = 7.2522 Å, c = 7.2522 Å
α = 110.76°, β = 110.76°, γ = 106.93°
Positions (direct):
Ba 0.0870 0.6250 0.9620
Ba 0.3750 0.3370 0.4620
Ba 0.6630 0.1250 0.0380
Ba 0.8750 0.9130 0.5380
B 0.0000 0.0000 0.0000
B 0.7500 0.2500 0.5000
Au 0.2500 0.7500 0.5000
Au 0.5000 0.5000 0.0000



Entry 2:
DFT (GGA-PBE) results for an optimized crystal structure of CrCoIr2.

Energy = -8.3805 eV per atom
V = 55 Å³ per cell
Energy of formation from the pure elements = 0.23 eV/atom
Symmetry = Pmmm (47)

a = 2.7789 Å, b = 4.3572 Å, c = 4.5346 Å
α = 90.00°, β = 90.00°, γ = 90.00°
Positions (direct):
Cr 0.0000 0.0000 0.0000
Co 0.5000 0.0000 0.5000
Ir 0.0000 0.5000 0.5000
Ir 0.5000 0.5000 0.0000



Entry 3:
DFT (GGA-PBE) results for an optimized crystal structure of CeNi12Sn6.

Energy = -5.3101 eV per atom
V = 313 Å³ per cell
Energy of formation from the pure elements = -0.08 eV/atom
Symmetry = R-3m (166)

a = 6.9835 Å, b = 6.9835 Å, c = 6.9835 Å
α = 102.38°, β = 102.38°, γ = 102.38°
Positions (direct):
Ce 0.0000 0.0000 0.0000
Ni 0.0931 0.3293 0.3293
Ni 0.1132 0.5000 0.8868
Ni 0.1132 0.8868 0.5000
Ni 0.3293 0.0931 0.3293
Ni 0.3293 0.3293 0.0931
Ni 0.5000 0.1132 0.8868
Ni 0.5000 0.8868 0.1132
Ni 0.6707 0.6707 0.9069
Ni 0.6707 0.9069 0.6707
Ni 0.8868 0.1132 0.5000
Ni 0.8868 0.5000 0.1132
Ni 0.9069 0.6707 0.6707
Sn 0.2681 0.2681 0.6799
Sn 0.2681 0.6799 0.2681
Sn 0.3201 0.7319 0.7319
Sn 0.6799 0.2681 0.2681
Sn 0.7319 0.3201 0.7319
Sn 0.7319 0.7319 0.3201



Entry 4:
DFT (GGA-PBE) results for an optimized crystal structure of ScBe2Cr.

Energy = -5.6109 eV per atom
V = 50 Å³ per cell
Energy of formation from the pure elements = 0.24 eV/atom
Energy above the lowest structure with this stoichiometry = 0.197 eV/atom
Symmetry = Cmmm (65)

a = 4.3633 Å, b = 4.3633 Å, c = 2.6744 Å
α = 90.00°, β = 90.00°, γ = 103.47°
Positions (direct):
Sc 0.0000 0.0000 0.0000
Be 0.0000 0.5000 0.5000
Be 0.5000 0.0000 0.5000
Cr 0.5000 0.5000 0.0000



Entry 5:
DFT (GGA-PBE) results for an optimized crystal structure of SrLi2NdSb2.

Formation energy without anion corrections = -0.89 eV per atom
Energy = -3.9765 eV per atom
V = 159 Å³ per cell
Symmetry = P-3m1 (164)

a = 4.7187 Å, b = 4.7187 Å, c = 8.2288 Å
α = 90.00°, β = 90.00°, γ = 120.00°
Positions (direct):
Sr 0.0000 0.0000 0.0000
Li 0.3333 0.6667 0.7313
Li 0.6667 0.3333 0.2687
Nd 0.0000 0.0000 0.5000
Sb 0.3333 0.6667 0.2631
Sb 0.6667 0.3333 0.7369



Entry 6:
DFT (GGA-PBE) results for an optimized crystal structure of Pr7Cd2Pb2.

Energy = -3.9159 eV per atom
V = 387 Å³ per cell
Energy of formation from the pure elements = -0.03 eV/atom
Symmetry = Cmmm (65)

a = 7.0759 Å, b = 7.0759 Å, c = 8.2636 Å
α = 90.00°, β = 90.00°, γ = 110.79°
Positions (direct):
Pr 0.0000 0.0000 0.0000
Pr 0.0000 0.5000 0.2916
Pr 0.0000 0.5000 0.7084
- - -
(The piece goes on)


As you interact with others at the conference, we invite you to be mindful of how you can help foster a culture of accountability, inclusion, empathy, care, and mutuality. The Implementation Collective of AWP welcomes your feedback on these guidelines.